[File]
=====
First-principles (GGA-PBE) data for ScIrAu2 after structural relaxation, as listed in the Alexandria database.

```
4
Lattice="-1.987 1.987 4.353 1.987 -1.987 4.353 1.987 1.987 -4.353" Properties=species:S:1:pos:R:3 pbc="T T T"
Sc 0.000 0.000 0.000
Ir 0.000 0.000 4.353
Au 1.987 0.000 2.177
Au 0.000 1.987 2.177
```

Values from the calculation:
DFT formation energy in eV per atom: -0.50


1.
Material: Pb2Cl
Method: DFT, PBE
State: optimized geometry

Lattice parameters (Å, degrees): 12.192 12.192 12.192 161.28 161.28 26.59
Positions (direct):
Cl 0.750 0.250 0.500
Cl 0.000 0.000 0.000
Pb 0.180 0.680 0.500
Pb 0.430 0.430 0.000
Pb 0.570 0.570 0.000
Pb 0.320 0.820 0.500

Computed properties:
SG: No. 141
Formation energy (no corrections) in eV per atom: -0.165
Crystal system: tetragonal

2.
Material: Pb3Cl
Method: DFT, PBE
State: optimized geometry

Lattice parameters (Å, degrees): 3.597 3.597 10.496 90.00 90.00 120.00
Positions (direct):
Pb 0.667 0.333 0.773
Pb 0.000 0.000 0.500
Pb 0.667 0.333 0.227
Cl 0.000 0.000 0.000

Computed properties:
SG: No. 187
Formation energy (no corrections) in eV per atom: -0.295
Crystal system: hexagonal

3.
Material: Pb3Cl2
Method: DFT, PBE
State: optimized geometry

Lattice parameters (Å, degrees): 5.425 5.425 6.033 90.00 90.00 120.00
Positions (direct):
Pb 0.667 0.333 0.555
Pb 0.333 0.667 0.445
Pb 0.000 0.000 0.000
Cl 0.333 0.667 0.931
Cl 0.667 0.333 0.069

Computed properties:
SG: No. 164
Formation energy (no corrections) in eV per atom: -0.369
Crystal system: trigonal

4.
Material: Pb2Cl3
Method: DFT, PBE
State: optimized geometry

Lattice parameters (Å, degrees): 10.662 9.270 6.630 82.42 59.53 38.06
Positions (direct):
Cl 0.954 0.546 0.546
Cl 0.341 0.276 0.779
Cl 0.974 0.909 0.646
Cl 0.704 0.296 0.296
Cl 0.471 0.646 0.909
Cl 0.604 0.779 0.276
Pb 0.074 0.208 0.941
Pb 0.309 0.474 0.176
Pb 0.776 0.941 0.208
Pb 0.042 0.176 0.474

Computed properties:
SG: No. 43
Formation energy (no corrections) in eV per atom: -0.903
Crystal system: orthorhombic

5.
Material: PbCl3
Method: DFT, PBE
State: optimized geometry

Lattice parameters (Å, degrees): 3.633 3.633 9.069 90.00 90.00 89.95
Each line ends with the local moment (μB).
Positions (direct):
Pb 0.500 0.500 0.250  0.01
Cl 0.500 0.500 0.750  0.70
Cl 0.000 0.000 0.069  0.04
Cl 0.000 0.000 0.431  0.04

Computed properties:
SG: No. 123
Formation energy (no corrections) in eV per atom: -0.448
Crystal system: tetragonal

6.
Material: Pb2Cl
Method: DFT, PBE
State: optimized geometry

Lattice parameters (Å, degrees): 3.610 3.610 7.681 90.00 90.00 120.00
Positions (direct):
Pb 0.333 0.667 0.690
Pb 0.667 0.333 0.310
Cl 0.000 0.000 0.000

Computed properties:
SG: No. 164
Formation energy (no corrections) in eV per atom: -0.335
Crystal system: trigonal

no.,calculated total energy (eV/cell)
1,-19.52
2,-14.15
3,-16.66
4,-34.94
5,-11.04
6,-10.27
=====

[Exercise]
Could you repeat everything earlier on without additions?

[Here it is]
First-principles (GGA-PBE) data for ScIrAu2 after structural relaxation, as listed in the Alexandria database.

```
4
Lattice="-1.987 1.987 4.353 1.987 -1.987 4.353 1.987 1.987 -4.353" Properties=species:S:1:pos:R:3 pbc="T T T"
Sc 0.000 0.000 0.000
Ir 0.000 0.000 4.353
Au 1.987 0.000 2.177
Au 0.000 1.987 2.177
```

Values from the calculation:
DFT formation energy in eV per atom: -0.50


1.
Material: Pb2Cl
Method: DFT, PBE
State: optimized geometry

Lattice parameters (Å, degrees): 12.192 12.192 12.192 161.28 161.28 26.59
Positions (direct):
Cl 0.750 0.250 0.500
Cl 0.000 0.000 0.000
Pb 0.180 0.680 0.500
Pb 0.430 0.430 0.000
Pb 0.570 0.570 0.000
Pb 0.320 0.820 0.500

Computed properties:
SG: No. 141
Formation energy (no corrections) in eV per atom: -0.165
Crystal system: tetragonal

2.
Material: Pb3Cl
Method: DFT, PBE
State: optimized geometry

Lattice parameters (Å, degrees): 3.597 3.597 10.496 90.00 90.00 120.00
Positions (direct):
Pb 0.667 0.333 0.773
Pb 0.000 0.000 0.500
Pb 0.667 0.333 0.227
Cl 0.000 0.000 0.000

Computed properties:
SG: No. 187
Formation energy (no corrections) in eV per atom: -0.295
Crystal system: hexagonal

3.
Material: Pb3Cl2
Method: DFT, PBE
State: optimized geometry

Lattice parameters (Å, degrees): 5.425 5.425 6.033 90.00 90.00 120.00
Positions (direct):
Pb 0.667 0.333 0.555
Pb 0.333 0.667 0.445
Pb 0.000 0.000 0.000
Cl 0.333 0.667 0.931
Cl 0.667 0.333 0.069

Computed properties:
SG: No. 164
Formation energy (no corrections) in eV per atom: -0.369
Crystal system: trigonal

4.
Material: Pb2Cl3
Method: DFT, PBE
State: optimized geometry

Lattice parameters (Å, degrees): 10.662 9.270 6.630 82.42 59.53 38.06
Positions (direct):
Cl 0.954 0.546 0.546
Cl 0.341 0.276 0.779
Cl 0.974 0.909 0.646
Cl 0.704 0.296 0.296
Cl 0.471 0.646 0.909
Cl 0.604 0.779 0.276
Pb 0.074 0.208 0.941
Pb 0.309 0.474 0.176
Pb 0.776 0.941 0.208
Pb 0.042 0.176 0.474

Computed properties:
SG: No. 43
Formation energy (no corrections) in eV per atom: -0.903
Crystal system: orthorhombic

5.
Material: PbCl3
Method: DFT, PBE
State: optimized geometry

Lattice parameters (Å, degrees): 3.633 3.633 9.069 90.00 90.00 89.95
Each line ends with the local moment (μB).
Positions (direct):
Pb 0.500 0.500 0.250  0.01
Cl 0.500 0.500 0.750  0.70
Cl 0.000 0.000 0.069  0.04
Cl 0.000 0.000 0.431  0.04

Computed properties:
SG: No. 123
Formation energy (no corrections) in eV per atom: -0.448
Crystal system: tetragonal

6.
Material: Pb2Cl
Method: DFT, PBE
State: optimized geometry

Lattice parameters (Å, degrees): 3.610 3.610 7.681 90.00 90.00 120.00
Positions (direct):
Pb 0.333 0.667 0.690
Pb 0.667 0.333 0.310
Cl 0.000 0.000 0.000

Computed properties:
SG: No. 164
Formation energy (no corrections) in eV per atom: -0.335
Crystal system: trigonal

no.,calculated total energy (eV/cell)
1,-19.52
2,-14.15
3,-16.66
4,-34.94
5,-11.04
6,-10.27